(1)
# BaLa2Au PBE optimized geometry
# energy relative to the elements = -0.056 eV per atom
data_BaLa2Au
_symmetry_space_group_name_H-M 'I -4 m 2'
_symmetry_Int_Tables_number 119
_symmetry_space_group_name_Hall 'I -4 -2'
_cell_length_a 4.856
_cell_length_b 4.856
_cell_length_c 11.015
_cell_angle_alpha 90.00
_cell_angle_beta 90.00
_cell_angle_gamma 90.00
loop_
_atom_site_label
_atom_site_type_symbol
_atom_site_fract_x
_atom_site_fract_y
_atom_site_fract_z
_atom_site_occupancy
Ba1 Ba 0.000 0.000 0.000 1
La1 La 0.000 0.000 0.500 1
La2 La 0.000 0.500 0.750 1
Au1 Au 0.000 0.500 0.250 1

=====

(2)
# RbPBr3 PBE optimized geometry
# ΔE_f (raw) = -0.716 eV per atom
data_RbPBr3
_symmetry_space_group_name_H-M 'P m -3 m'
_symmetry_Int_Tables_number 221
_symmetry_space_group_name_Hall '-P 4 2 3'
_cell_length_a 5.330
_cell_length_b 5.330
_cell_length_c 5.330
_cell_angle_alpha 90.00
_cell_angle_beta 90.00
_cell_angle_gamma 90.00
loop_
_atom_site_label
_atom_site_type_symbol
_atom_site_fract_x
_atom_site_fract_y
_atom_site_fract_z
_atom_site_occupancy
Rb1 Rb 0.000 0.000 0.000 1
P1 P 0.500 0.500 0.500 1
Br1 Br 0.000 0.500 0.500 1

* * * * *

Record 1
LaNdCF | Alexandria | GGA-PBE | optimized geometry; Fermi-level density of states = 0.56 states/eV/atom; theoretical density = 5.88 g/cm3; uncorrected formation energy = -4.8 eV/f.u.; total magnetization = 0.7 μB per formula unit
1.0
5.2979 0.0000 0.0000
0.0000 2.1811 3.8396
0.0000 -2.1811 3.8396
La Nd C F
1 1 1 1
Cartesian
0.0000 0.0000 0.0000
2.6490 0.0000 5.1533
2.6490 0.0000 0.0209
0.0000 0.0000 5.1480


Record 2
NiSbP | Alexandria | GGA-PBE | optimized geometry; Fermi-level density of states = 0.91 states/eV/atom; theoretical density = 6.72 g/cm3; distance to the lowest polymorph of the same formula = 768.3 meV/atom; uncorrected formation energy = 1.6 eV/f.u.; total magnetization = 0.0 μB per formula unit
1.0
4.6600 0.0000 0.0000
-2.3300 4.0357 0.0000
0.0000 0.0000 5.5546
Ni Sb P
2 2 2
Cartesian
0.0000 0.0000 0.0000
0.0000 0.0000 2.7773
0.0000 2.6905 1.3886
2.3300 1.3452 4.1659
0.0000 2.6905 4.1659
2.3300 1.3452 1.3886


Record 3
Ca2YNi2 | Alexandria | GGA-PBE | optimized geometry; Fermi-level density of states = 0.92 states/eV/atom; theoretical density = 4.08 g/cm3; distance to the lowest polymorph of the same formula = 178.9 meV/atom; total magnetization = 0.0 μB per formula unit
1.0
-2.1676 2.1676 6.2049
2.1676 -2.1676 6.2049
2.1676 2.1676 -6.2049
Ca Y Ni
2 1 2
Cartesian
2.1676 0.0000 3.1025
0.0000 2.1676 3.1025
0.0000 0.0000 0.0000
0.0000 0.0000 5.0753
0.0000 0.0000 7.3346


Record 4
DyCd11Rh | Alexandria | GGA-PBE | optimized geometry; energy = -23.43 eV per cell; Fermi-level density of states = 0.44 states/eV/atom; theoretical density = 8.79 g/cm3; total magnetization = 0.0 μB per formula unit
1.0
2.8403 -7.1421 0.0000
2.8403 7.1421 0.0000
-2.7784 0.0000 6.9945
Dy Cd Rh
1 11 1
Cartesian
0.0000 0.0000 0.0000
1.4202 3.5710 0.0000
0.1291 4.7466 4.4997
-0.0094 1.4647 5.5063
2.7732 4.7466 2.4947
-0.0094 -1.4647 5.5063
1.4202 -3.5710 0.0000
1.4511 0.0000 3.4972
2.9116 1.4647 1.4882
0.1291 -4.7466 4.4997
2.9116 -1.4647 1.4882
2.7732 -4.7466 2.4947
-1.3892 0.0000 3.4972


Record 5
Tb8Sm2Hg | Alexandria | GGA-PBE | optimized geometry; Fermi-level density of states = 1.65 states/eV/atom; theoretical density = 8.27 g/cm3; distance to the lowest polymorph of the same formula = 40.7 meV/atom; total magnetization = 0.0 μB per formula unit
1.0
9.4088 -2.7485 0.0000
9.4088 2.7485 0.0000
-2.9814 0.0000 6.8804
Tb Sm Hg
8 2 1
Cartesian
-0.7325 0.0000 1.6943
16.5688 0.0000 5.1861
1.4129 0.0000 4.7049
4.9981 0.0000 4.3328
6.5827 0.0000 0.6924
9.2535 0.0000 6.1880
10.8381 0.0000 2.5477
14.4234 0.0000 2.1756
3.0428 0.0000 1.3211
12.7935 0.0000 5.5593
7.9181 0.0000 3.4402


Record 6
Er3Ag2Hg7 | Alexandria | GGA-PBE | optimized geometry; energy = -23.95 eV per cell; Fermi-level density of states = 0.57 states/eV/atom; theoretical density = 12.10 g/cm3; total magnetization = 0.0 μB per formula unit
1.0
Please restate the calculation results further up exactly.
(1)
# BaLa2Au PBE optimized geometry
# energy relative to the elements = -0.056 eV per atom
data_BaLa2Au
_symmetry_space_group_name_H-M 'I -4 m 2'
_symmetry_Int_Tables_number 119
_symmetry_space_group_name_Hall 'I -4 -2'
_cell_length_a 4.856
_cell_length_b 4.856
_cell_length_c 11.015
_cell_angle_alpha 90.00
_cell_angle_beta 90.00
_cell_angle_gamma 90.00
loop_
_atom_site_label
_atom_site_type_symbol
_atom_site_fract_x
_atom_site_fract_y
_atom_site_fract_z
_atom_site_occupancy
Ba1 Ba 0.000 0.000 0.000 1
La1 La 0.000 0.000 0.500 1
La2 La 0.000 0.500 0.750 1
Au1 Au 0.000 0.500 0.250 1

=====

(2)
# RbPBr3 PBE optimized geometry
# ΔE_f (raw) = -0.716 eV per atom
data_RbPBr3
_symmetry_space_group_name_H-M 'P m -3 m'
_symmetry_Int_Tables_number 221
_symmetry_space_group_name_Hall '-P 4 2 3'
_cell_length_a 5.330
_cell_length_b 5.330
_cell_length_c 5.330
_cell_angle_alpha 90.00
_cell_angle_beta 90.00
_cell_angle_gamma 90.00
loop_
_atom_site_label
_atom_site_type_symbol
_atom_site_fract_x
_atom_site_fract_y
_atom_site_fract_z
_atom_site_occupancy
Rb1 Rb 0.000 0.000 0.000 1
P1 P 0.500 0.500 0.500 1
Br1 Br 0.000 0.500 0.500 1

* * * * *

Record 1
LaNdCF | Alexandria | GGA-PBE | optimized geometry; Fermi-level density of states = 0.56 states/eV/atom; theoretical density = 5.88 g/cm3; uncorrected formation energy = -4.8 eV/f.u.; total magnetization = 0.7 μB per formula unit
1.0
5.2979 0.0000 0.0000
0.0000 2.1811 3.8396
0.0000 -2.1811 3.8396
La Nd C F
1 1 1 1
Cartesian
0.0000 0.0000 0.0000
2.6490 0.0000 5.1533
2.6490 0.0000 0.0209
0.0000 0.0000 5.1480


Record 2
NiSbP | Alexandria | GGA-PBE | optimized geometry; Fermi-level density of states = 0.91 states/eV/atom; theoretical density = 6.72 g/cm3; distance to the lowest polymorph of the same formula = 768.3 meV/atom; uncorrected formation energy = 1.6 eV/f.u.; total magnetization = 0.0 μB per formula unit
1.0
4.6600 0.0000 0.0000
-2.3300 4.0357 0.0000
0.0000 0.0000 5.5546
Ni Sb P
2 2 2
Cartesian
0.0000 0.0000 0.0000
0.0000 0.0000 2.7773
0.0000 2.6905 1.3886
2.3300 1.3452 4.1659
0.0000 2.6905 4.1659
2.3300 1.3452 1.3886


Record 3
Ca2YNi2 | Alexandria | GGA-PBE | optimized geometry; Fermi-level density of states = 0.92 states/eV/atom; theoretical density = 4.08 g/cm3; distance to the lowest polymorph of the same formula = 178.9 meV/atom; total magnetization = 0.0 μB per formula unit
1.0
-2.1676 2.1676 6.2049
2.1676 -2.1676 6.2049
2.1676 2.1676 -6.2049
Ca Y Ni
2 1 2
Cartesian
2.1676 0.0000 3.1025
0.0000 2.1676 3.1025
0.0000 0.0000 0.0000
0.0000 0.0000 5.0753
0.0000 0.0000 7.3346


Record 4
DyCd11Rh | Alexandria | GGA-PBE | optimized geometry; energy = -23.43 eV per cell; Fermi-level density of states = 0.44 states/eV/atom; theoretical density = 8.79 g/cm3; total magnetization = 0.0 μB per formula unit
1.0
2.8403 -7.1421 0.0000
2.8403 7.1421 0.0000
-2.7784 0.0000 6.9945
Dy Cd Rh
1 11 1
Cartesian
0.0000 0.0000 0.0000
1.4202 3.5710 0.0000
0.1291 4.7466 4.4997
-0.0094 1.4647 5.5063
2.7732 4.7466 2.4947
-0.0094 -1.4647 5.5063
1.4202 -3.5710 0.0000
1.4511 0.0000 3.4972
2.9116 1.4647 1.4882
0.1291 -4.7466 4.4997
2.9116 -1.4647 1.4882
2.7732 -4.7466 2.4947
-1.3892 0.0000 3.4972


Record 5
Tb8Sm2Hg | Alexandria | GGA-PBE | optimized geometry; Fermi-level density of states = 1.65 states/eV/atom; theoretical density = 8.27 g/cm3; distance to the lowest polymorph of the same formula = 40.7 meV/atom; total magnetization = 0.0 μB per formula unit
1.0
9.4088 -2.7485 0.0000
9.4088 2.7485 0.0000
-2.9814 0.0000 6.8804
Tb Sm Hg
8 2 1
Cartesian
-0.7325 0.0000 1.6943
16.5688 0.0000 5.1861
1.4129 0.0000 4.7049
4.9981 0.0000 4.3328
6.5827 0.0000 0.6924
9.2535 0.0000 6.1880
10.8381 0.0000 2.5477
14.4234 0.0000 2.1756
3.0428 0.0000 1.3211
12.7935 0.0000 5.5593
7.9181 0.0000 3.4402


Record 6
Er3Ag2Hg7 | Alexandria | GGA-PBE | optimized geometry; energy = -23.95 eV per cell; Fermi-level density of states = 0.57 states/eV/atom; theoretical density = 12.10 g/cm3; total magnetization = 0.0 μB per formula unit
1.0